Data.
____________
[1]
A plane-wave DFT calculation with GGA+U was carried out for crystalline LiMn4P3O12 at its relaxed geometry.

Geometry as extended XYZ:
```
80
Lattice="6.497 0.000 0.000 0.000 10.009 0.000 0.000 0.000 14.664" Properties=species:S:1:pos:R:3 pbc="T T T"
Li 3.688 7.386 3.666
Li 2.809 2.623 10.998
Li 6.057 2.381 10.998
Li 0.440 7.628 3.666
O 0.646 2.815 7.119
O 5.387 0.313 8.087
O 0.311 0.580 10.998
O 3.895 2.189 7.119
O 4.588 2.328 9.509
O 1.339 2.677 12.487
O 2.691 3.512 4.976
O 0.646 2.815 0.213
O 5.158 7.332 2.177
O 1.909 7.682 5.155
O 1.110 9.696 6.577
O 5.851 7.194 14.451
O 2.603 7.820 7.545
O 4.588 2.328 12.487
O 3.442 9.615 1.477
O 3.895 2.189 0.213
O 5.940 1.493 2.356
O 2.139 4.692 13.909
O 4.909 8.846 10.998
O 0.558 8.517 9.688
O 3.055 0.395 13.187
O 3.055 0.395 8.809
O 2.937 5.584 3.666
O 6.186 9.429 3.666
O 4.358 5.317 6.577
O 5.387 0.313 13.909
O 3.442 9.615 5.855
O 6.303 4.610 13.187
O 3.560 4.425 10.998
O 4.837 3.841 3.666
O 0.558 8.517 12.308
O 1.588 1.163 3.666
O 6.303 4.610 8.809
O 1.660 6.168 10.998
O 1.339 2.677 9.509
O 5.940 1.493 4.976
O 4.358 5.317 0.755
O 3.806 6.497 9.688
O 0.194 5.399 1.477
O 0.194 5.399 5.855
O 1.909 7.682 2.177
O 1.110 9.696 0.755
O 3.806 6.497 12.308
O 2.691 3.512 2.356
O 5.158 7.332 5.155
O 2.603 7.820 14.451
O 5.851 7.194 7.545
O 2.139 4.692 8.087
Mn 2.297 5.594 1.435
Mn 4.200 4.415 13.229
Mn 5.546 9.420 5.897
Mn 2.232 1.608 1.565
Mn 0.951 0.590 13.229
Mn 4.200 4.415 8.767
Mn 5.481 3.397 5.767
Mn 4.265 8.401 13.099
Mn 4.265 8.401 8.897
Mn 1.016 6.613 8.897
Mn 2.297 5.594 5.897
Mn 2.232 1.608 5.767
Mn 5.546 9.420 1.435
Mn 1.016 6.613 13.099
Mn 5.481 3.397 1.565
Mn 0.951 0.590 8.767
P 5.525 6.339 6.277
P 0.972 3.670 13.609
P 4.220 1.335 13.609
P 6.444 9.080 10.998
P 4.220 1.335 8.387
P 3.196 5.934 10.998
P 5.525 6.339 1.055
P 2.277 8.675 1.055
P 0.972 3.670 8.387
P 2.277 8.675 6.277
P 3.301 4.076 3.666
P 0.053 0.929 3.666
```

- ΔE to the lowest computed polymorph (meV per atom) = 0
- symmetry = Pnma, No. 62
- DFT formation energy (meV per atom) = -2551
- final energy (eV per formula unit) = -150.3

---

[2]
A plane-wave DFT calculation with GGA+U was carried out for crystalline LiMn4P3O12 at its relaxed geometry.

Geometry as extended XYZ:
```
40
Lattice="-1.425 5.842 4.456 -6.874 0.347 -3.679 0.661 -8.323 5.245" Properties=species:S:1:pos:R:3 pbc="T T T"
O -7.474 2.636 2.163
O -3.694 -0.593 0.014
O -1.733 -6.902 4.659
O -4.219 2.509 1.724
O -4.196 -2.533 3.107
O -5.821 -2.269 0.592
O -6.624 1.044 0.324
O -3.944 -1.541 6.008
O -1.902 2.434 2.756
O -0.164 -4.769 3.859
O -3.637 -4.733 1.829
O -3.418 -4.643 4.298
O -1.817 0.136 5.431
O -5.904 4.768 1.364
O -4.558 -7.188 3.122
O -4.000 2.600 4.194
O -5.736 -4.567 3.267
O -1.294 -2.544 3.282
O -1.013 -3.177 5.699
O -6.359 -1.753 5.124
O -3.079 5.054 2.901
O -6.343 0.411 2.740
O -3.441 0.399 2.915
O -1.278 -0.380 0.898
Mn -2.721 -1.226 4.123
Mn -7.266 1.591 -1.708
Mn -4.916 -0.907 1.899
Mn -5.895 3.547 3.273
Mn -4.551 1.623 -0.165
Mn -1.742 -5.680 2.750
Mn -3.087 -3.757 6.187
Mn -0.372 -3.725 7.731
P -3.377 1.964 2.950
P -7.285 1.164 1.751
P -2.219 -0.089 -0.291
P -0.353 -3.297 4.272
P -4.260 -4.097 3.073
P -5.418 -2.044 6.313
Li -6.554 0.434 4.761
Li -1.084 -2.567 1.262
```

- ΔE to the lowest computed polymorph (meV per atom) = 15
- symmetry = P-1, No. 2
- DFT formation energy (meV per atom) = -2536
- final energy (eV per formula unit) = -150.0

---

[3]
A plane-wave DFT calculation with GGA+U was carried out for crystalline LiMnPO4 at its relaxed geometry.

Geometry as extended XYZ:
```
84
Lattice="-3.786 1.066 -6.905 5.380 -5.901 -3.861 -4.529 -17.113 -0.157" Properties=species:S:1:pos:R:3 pbc="T T T"
O -3.378 -11.988 -5.822
O -0.198 -5.033 -7.372
O -0.475 -16.376 -8.089
O -3.790 -12.062 -2.444
O 0.442 -9.960 -5.101
O -5.213 -14.835 -6.474
O 2.277 -7.113 -4.449
O -4.088 -8.353 -6.975
O 0.854 -9.886 -8.479
O -2.738 -16.915 -3.550
O -0.966 -18.758 -3.617
O -2.290 -13.917 -3.314
O -3.866 -14.370 -1.347
O 0.931 -7.578 -9.576
____________

Exercise.
Your job: duplicate the listing further above with every line break kept.

Here it is.
[1]
A plane-wave DFT calculation with GGA+U was carried out for crystalline LiMn4P3O12 at its relaxed geometry.

Geometry as extended XYZ:
```
80
Lattice="6.497 0.000 0.000 0.000 10.009 0.000 0.000 0.000 14.664" Properties=species:S:1:pos:R:3 pbc="T T T"
Li 3.688 7.386 3.666
Li 2.809 2.623 10.998
Li 6.057 2.381 10.998
Li 0.440 7.628 3.666
O 0.646 2.815 7.119
O 5.387 0.313 8.087
O 0.311 0.580 10.998
O 3.895 2.189 7.119
O 4.588 2.328 9.509
O 1.339 2.677 12.487
O 2.691 3.512 4.976
O 0.646 2.815 0.213
O 5.158 7.332 2.177
O 1.909 7.682 5.155
O 1.110 9.696 6.577
O 5.851 7.194 14.451
O 2.603 7.820 7.545
O 4.588 2.328 12.487
O 3.442 9.615 1.477
O 3.895 2.189 0.213
O 5.940 1.493 2.356
O 2.139 4.692 13.909
O 4.909 8.846 10.998
O 0.558 8.517 9.688
O 3.055 0.395 13.187
O 3.055 0.395 8.809
O 2.937 5.584 3.666
O 6.186 9.429 3.666
O 4.358 5.317 6.577
O 5.387 0.313 13.909
O 3.442 9.615 5.855
O 6.303 4.610 13.187
O 3.560 4.425 10.998
O 4.837 3.841 3.666
O 0.558 8.517 12.308
O 1.588 1.163 3.666
O 6.303 4.610 8.809
O 1.660 6.168 10.998
O 1.339 2.677 9.509
O 5.940 1.493 4.976
O 4.358 5.317 0.755
O 3.806 6.497 9.688
O 0.194 5.399 1.477
O 0.194 5.399 5.855
O 1.909 7.682 2.177
O 1.110 9.696 0.755
O 3.806 6.497 12.308
O 2.691 3.512 2.356
O 5.158 7.332 5.155
O 2.603 7.820 14.451
O 5.851 7.194 7.545
O 2.139 4.692 8.087
Mn 2.297 5.594 1.435
Mn 4.200 4.415 13.229
Mn 5.546 9.420 5.897
Mn 2.232 1.608 1.565
Mn 0.951 0.590 13.229
Mn 4.200 4.415 8.767
Mn 5.481 3.397 5.767
Mn 4.265 8.401 13.099
Mn 4.265 8.401 8.897
Mn 1.016 6.613 8.897
Mn 2.297 5.594 5.897
Mn 2.232 1.608 5.767
Mn 5.546 9.420 1.435
Mn 1.016 6.613 13.099
Mn 5.481 3.397 1.565
Mn 0.951 0.590 8.767
P 5.525 6.339 6.277
P 0.972 3.670 13.609
P 4.220 1.335 13.609
P 6.444 9.080 10.998
P 4.220 1.335 8.387
P 3.196 5.934 10.998
P 5.525 6.339 1.055
P 2.277 8.675 1.055
P 0.972 3.670 8.387
P 2.277 8.675 6.277
P 3.301 4.076 3.666
P 0.053 0.929 3.666
```

- ΔE to the lowest computed polymorph (meV per atom) = 0
- symmetry = Pnma, No. 62
- DFT formation energy (meV per atom) = -2551
- final energy (eV per formula unit) = -150.3

---

[2]
A plane-wave DFT calculation with GGA+U was carried out for crystalline LiMn4P3O12 at its relaxed geometry.

Geometry as extended XYZ:
```
40
Lattice="-1.425 5.842 4.456 -6.874 0.347 -3.679 0.661 -8.323 5.245" Properties=species:S:1:pos:R:3 pbc="T T T"
O -7.474 2.636 2.163
O -3.694 -0.593 0.014
O -1.733 -6.902 4.659
O -4.219 2.509 1.724
O -4.196 -2.533 3.107
O -5.821 -2.269 0.592
O -6.624 1.044 0.324
O -3.944 -1.541 6.008
O -1.902 2.434 2.756
O -0.164 -4.769 3.859
O -3.637 -4.733 1.829
O -3.418 -4.643 4.298
O -1.817 0.136 5.431
O -5.904 4.768 1.364
O -4.558 -7.188 3.122
O -4.000 2.600 4.194
O -5.736 -4.567 3.267
O -1.294 -2.544 3.282
O -1.013 -3.177 5.699
O -6.359 -1.753 5.124
O -3.079 5.054 2.901
O -6.343 0.411 2.740
O -3.441 0.399 2.915
O -1.278 -0.380 0.898
Mn -2.721 -1.226 4.123
Mn -7.266 1.591 -1.708
Mn -4.916 -0.907 1.899
Mn -5.895 3.547 3.273
Mn -4.551 1.623 -0.165
Mn -1.742 -5.680 2.750
Mn -3.087 -3.757 6.187
Mn -0.372 -3.725 7.731
P -3.377 1.964 2.950
P -7.285 1.164 1.751
P -2.219 -0.089 -0.291
P -0.353 -3.297 4.272
P -4.260 -4.097 3.073
P -5.418 -2.044 6.313
Li -6.554 0.434 4.761
Li -1.084 -2.567 1.262
```

- ΔE to the lowest computed polymorph (meV per atom) = 15
- symmetry = P-1, No. 2
- DFT formation energy (meV per atom) = -2536
- final energy (eV per formula unit) = -150.0

---

[3]
A plane-wave DFT calculation with GGA+U was carried out for crystalline LiMnPO4 at its relaxed geometry.

Geometry as extended XYZ:
```
84
Lattice="-3.786 1.066 -6.905 5.380 -5.901 -3.861 -4.529 -17.113 -0.157" Properties=species:S:1:pos:R:3 pbc="T T T"
O -3.378 -11.988 -5.822
O -0.198 -5.033 -7.372
O -0.475 -16.376 -8.089
O -3.790 -12.062 -2.444
O 0.442 -9.960 -5.101
O -5.213 -14.835 -6.474
O 2.277 -7.113 -4.449
O -4.088 -8.353 -6.975
O 0.854 -9.886 -8.479
O -2.738 -16.915 -3.550
O -0.966 -18.758 -3.617
O -2.290 -13.917 -3.314
O -3.866 -14.370 -1.347
O 0.931 -7.578 -9.576